_Request_
Write out the lines below up to the one that holds "0.296 0.433", that line included.
_Data_
+++
Here is a geometry-optimized HoErTe3 structure from Alexandria via LeMat-Bulk. Energies are from GGA-PBE.

Output
ΔE_f (raw) in eV per atom: -1.332
DFT total energy in eV/atom: -5.045
Volume in A^3/atom: 31.7

Lattice parameters (Å, degrees): 4.201 7.352 10.717 90.00 90.00 106.60
Sites, in units of the cell vectors:
Te: 0.096 0.193 0.750
Te: 0.352 0.704 0.567
Te: 0.904 0.807 0.250
Te: 0.352 0.704 0.933
Te: 0.648 0.296 0.067
Te: 0.648 0.296 0.433
Ho: 0.754 0.507 0.750
Ho: 0.246 0.493 0.250
Er: 0.000 0.000 0.500
Er: 0.000 0.000 0.000

---

Here is a geometry-optimized PmNd2Ho4Sc structure from Alexandria via LeMat-Bulk. Energies are from GGA-PBE.

Output
DFT formation energy in eV/atom: 0.034
DFT total energy in eV/atom: -4.832
Volume in A^3/atom: 31.5

Lattice parameters (Å, degrees): 7.084 12.287 12.272 146.47 106.64 90.02
Sites, in units of the cell vectors:
Pm: 0.000 0.500 0.500
Pm: 0.000 0.500 0.000
Ho: 0.249 0.251 0.494
Ho: 0.251 0.249 0.006
Ho: 0.248 0.752 0.998
Ho: 0.749 0.751 0.994
Ho: 0.751 0.749 0.506
Ho: 0.752 0.248 0.002
Ho: 0.252 0.748 0.501
Ho: 0.748 0.252 0.499
Sc: 0.500 0.500 0.500
Sc: 0.000 0.000 0.000
Nd: 0.500 0.000 0.500
Nd: 0.000 0.000 0.500
Nd: 0.500 0.000 0.000
Nd: 0.500 0.500 0.000

---

Here is a geometry-optimized AlCo2P structure from Alexandria via LeMat-Bulk. Energies are from GGA-PBE.

Output
DFT formation energy in eV/atom: -0.303
DFT total energy in eV/atom: -6.144
Volume in A^3/atom: 11.6

Lattice parameters (Å, degrees): 3.968 3.968 4.610 79.39 79.39 40.48
Each line ends with the local moment (μB).
Sites, in units of the cell vectors:
Co: 0.494 0.494 0.521  0.37
Co: 0.006 0.006 0.979  0.37
Al: 0.250 0.250 0.250  -0.01
P: 0.750 0.750 0.750  0.00
+++
_Done_
Here is a geometry-optimized HoErTe3 structure from Alexandria via LeMat-Bulk. Energies are from GGA-PBE.

Output
ΔE_f (raw) in eV per atom: -1.332
DFT total energy in eV/atom: -5.045
Volume in A^3/atom: 31.7

Lattice parameters (Å, degrees): 4.201 7.352 10.717 90.00 90.00 106.60
Sites, in units of the cell vectors:
Te: 0.096 0.193 0.750
Te: 0.352 0.704 0.567
Te: 0.904 0.807 0.250
Te: 0.352 0.704 0.933
Te: 0.648 0.296 0.067
Te: 0.648 0.296 0.433